This record from the Alexandria database describes crystalline LiSm2Dy at its relaxed geometry. The functional is PBE.

For the relative energy among the computed polymorphs, the calculation gives 0.21 kcal/mol of atoms. Its density of states at the Fermi level is 0.83 states/eV per atom. The total energy is -46.945 eV/cell. As for the magnetic moment: 0.000 μB per formula unit.

The structure belongs to space group R3m (No. 160, hexagonal axes); the cell edges are 3.5401, 3.5401 and 34.0945 Å and the angles 90.00°, 90.00° and 120.00°. The inequivalent atoms are Li at (0.0000, 0.0000, 0.0000), Sm at (0.0000, 0.0000, 0.2513), Sm at (0.0000, 0.0000, 0.4154) and Dy at (0.0000, 0.0000, 0.8333).


This record from the Alexandria database describes crystalline ScGaTcNi at its relaxed geometry. The functional is PBE.

Its density of states at the Fermi level is 1.06 states/eV per atom. The total energy is -106.530 eV/cell. As for the magnetic moment: 0.000 μB per formula unit.

The structure belongs to space group F-43m (No. 216); the cell edges are 6.190, 6.190 and 6.190 Å and the angles 90.00°, 90.00° and 90.00°. The inequivalent atoms are Sc at (0.000, 0.000, 0.000), Ga at (0.000, 0.000, 0.500), Tc at (0.250, 0.250, 0.250) and Ni at (0.250, 0.250, 0.750).

* * * * *

[1]
Density functional theory data (PBE) for a relaxed LiV3Rh crystal.

calculated formation energy = 1.04 eV/atom
relative energy among the computed polymorphs = 56.0 meV per atom
mass density = 6.45 Mg/m³
space-group type = Pm-3m
total DFT energy (no corrections) = -6.28 eV per atom

a = 4.0743 Å, b = 4.0743 Å, c = 4.0743 Å
α = 90.00°, β = 90.00°, γ = 90.00°
With the nearest neighbours (Å) after each atom.
Sites, in units of the cell vectors:
Li  0.0000  0.0000  0.0000  6 V 2.04
Rh  0.5000  0.5000  0.5000  12 V 2.88
V  0.0000  0.5000  0.0000  2 Li 2.04
V  0.5000  0.0000  0.0000  2 Li 2.04
V  0.0000  0.0000  0.5000  2 Li 2.04


[2]
Density functional theory data (PBE) for a relaxed TlZnBi2Ru crystal.

calculated formation energy = 0.44 eV/atom
mass density = 8.80 Mg/m³
space-group type = P4/mmm
total DFT energy (no corrections) = -3.69 eV per atom

a = 5.2950 Å, b = 5.3086 Å, c = 5.2950 Å
α = 90.00°, β = 90.00°, γ = 90.00°
With the nearest neighbours (Å) after each atom.
Sites, in units of the cell vectors:
Tl  0.0000  0.5000  0.0000  2 Ru 2.65
Bi  0.0000  0.0000  0.5000  2 Ru 2.65
Bi  0.5000  0.0000  0.0000  2 Ru 2.65
Zn  0.5000  0.5000  0.5000  4 Tl 3.74, 8 Bi 3.75
Ru  0.0000  0.0000  0.0000  4 Bi 2.65, 2 Tl 2.65


[3]
Density functional theory data (PBE) for a relaxed DyTl3Bi2Se6 crystal.

mass density = 7.59 Mg/m³
space-group type = C2/m
ΔE_f (raw) = -762.5 meV/atom
total DFT energy (no corrections) = -4.13 eV per atom

a = 7.4046 Å, b = 7.4046 Å, c = 8.0722 Å
α = 98.79°, β = 98.79°, γ = 120.00°
With the nearest neighbours (Å) after each atom.
Sites, in units of the cell vectors:
Bi  0.6664  0.3336  0.0000  6 Se 2.97-2.98
Dy  0.0000  0.0000  0.0000  6 Se 2.90-2.91
Se  0.0703  0.3961  0.2110  1 Dy 2.91, 2 Bi 2.98
Se  0.2554  0.2554  0.7893  1 Dy 2.90, 2 Bi 2.97
Se  0.9297  0.6039  0.7890  1 Dy 2.91, 2 Bi 2.98
Se  0.7446  0.7446  0.2107  1 Dy 2.90, 2 Bi 2.97
Tl  0.1676  0.8324  0.5000  6 Se 3.30-3.35
Bi  0.3336  0.6664  0.0000  6 Se 2.97-2.98
Se  0.6039  0.9297  0.7890  1 Dy 2.91, 2 Bi 2.98
Tl  0.5000  0.5000  0.5000  6 Se 3.30-3.36
Se  0.3961  0.0703  0.2110  1 Dy 2.91, 2 Bi 2.98
Tl  0.8324  0.1676  0.5000  6 Se 3.30-3.35

Please repeat only the last part of the contents earlier on, starting with the line that has "[1]".

[1]
Density functional theory data (PBE) for a relaxed LiV3Rh crystal.

calculated formation energy = 1.04 eV/atom
relative energy among the computed polymorphs = 56.0 meV per atom
mass density = 6.45 Mg/m³
space-group type = Pm-3m
total DFT energy (no corrections) = -6.28 eV per atom

a = 4.0743 Å, b = 4.0743 Å, c = 4.0743 Å
α = 90.00°, β = 90.00°, γ = 90.00°
With the nearest neighbours (Å) after each atom.
Sites, in units of the cell vectors:
Li  0.0000  0.0000  0.0000  6 V 2.04
Rh  0.5000  0.5000  0.5000  12 V 2.88
V  0.0000  0.5000  0.0000  2 Li 2.04
V  0.5000  0.0000  0.0000  2 Li 2.04
V  0.0000  0.0000  0.5000  2 Li 2.04


[2]
Density functional theory data (PBE) for a relaxed TlZnBi2Ru crystal.

calculated formation energy = 0.44 eV/atom
mass density = 8.80 Mg/m³
space-group type = P4/mmm
total DFT energy (no corrections) = -3.69 eV per atom

a = 5.2950 Å, b = 5.3086 Å, c = 5.2950 Å
α = 90.00°, β = 90.00°, γ = 90.00°
With the nearest neighbours (Å) after each atom.
Sites, in units of the cell vectors:
Tl  0.0000  0.5000  0.0000  2 Ru 2.65
Bi  0.0000  0.0000  0.5000  2 Ru 2.65
Bi  0.5000  0.0000  0.0000  2 Ru 2.65
Zn  0.5000  0.5000  0.5000  4 Tl 3.74, 8 Bi 3.75
Ru  0.0000  0.0000  0.0000  4 Bi 2.65, 2 Tl 2.65


[3]
Density functional theory data (PBE) for a relaxed DyTl3Bi2Se6 crystal.

mass density = 7.59 Mg/m³
space-group type = C2/m
ΔE_f (raw) = -762.5 meV/atom
total DFT energy (no corrections) = -4.13 eV per atom

a = 7.4046 Å, b = 7.4046 Å, c = 8.0722 Å
α = 98.79°, β = 98.79°, γ = 120.00°
With the nearest neighbours (Å) after each atom.
Sites, in units of the cell vectors:
Bi  0.6664  0.3336  0.0000  6 Se 2.97-2.98
Dy  0.0000  0.0000  0.0000  6 Se 2.90-2.91
Se  0.0703  0.3961  0.2110  1 Dy 2.91, 2 Bi 2.98
Se  0.2554  0.2554  0.7893  1 Dy 2.90, 2 Bi 2.97
Se  0.9297  0.6039  0.7890  1 Dy 2.91, 2 Bi 2.98
Se  0.7446  0.7446  0.2107  1 Dy 2.90, 2 Bi 2.97
Tl  0.1676  0.8324  0.5000  6 Se 3.30-3.35
Bi  0.3336  0.6664  0.0000  6 Se 2.97-2.98
Se  0.6039  0.9297  0.7890  1 Dy 2.91, 2 Bi 2.98
Tl  0.5000  0.5000  0.5000  6 Se 3.30-3.36
Se  0.3961  0.0703  0.2110  1 Dy 2.91, 2 Bi 2.98
Tl  0.8324  0.1676  0.5000  6 Se 3.30-3.35